## Work order
Restate the part of the notes further down that starts with the line with "-0.069 -0.601" and stops after the one with "-7.250".
## Contents
Entry from OMol25: C3H6N4S in the gas phase in a non-equilibrium geometry (wB97M-V/def2-TZVPD).

Bonds (Å) are listed after each position.
Atoms and positions in Å:
1 N -0.652 -0.633 0.446  N2 1.243, S5 1.663
2 N -1.145 0.253 1.166  N1 1.243, C8 1.335
3 N -1.245 2.047 -0.269  C4 1.257, C8 1.477
4 C -0.037 2.022 0.074  N3 1.257, C8 1.432, N9 1.343
5 S -0.831 -2.277 0.623  N1 1.663, C12 1.787
6 H -0.326 -3.563 -1.289  C12 1.047
7 H 1.896 1.480 0.165  N9 1.070
8 C -0.934 1.569 1.093  N2 1.335, N3 1.477, C4 1.432, H14 1.102
9 N 1.256 2.257 -0.200  C4 1.343, H7 1.070, H10 1.043
10 H 1.504 2.327 -1.211  N9 1.043
11 H 1.127 -2.939 -0.374  C12 1.105
12 C 0.129 -2.751 -0.808  S5 1.787, H6 1.047, H11 1.105, H13 1.046
13 H 0.172 -1.930 -1.455  C12 1.046
14 H -0.914 2.138 2.037  C8 1.102

Its energy relative to the best compared isomer or geometry (same formula, charge and spin) is 4.762 eV. As for the SMILES: CS/N=N/[C@@H]1N=C1N.

---

Entry from OMol25: C21H22FNO3 in the gas phase (wB97M-V/def2-TZVPD).

Bonds (Å) are listed after each position.
Atoms and positions in Å:
1 H -2.398 0.500 3.367  C43 1.080
2 C 4.261 1.322 2.193  H13 1.086, H17 1.086, H37 1.087, C39 1.521
3 H 0.453 0.248 -5.744  C27 1.079
4 C 0.591 -2.265 1.015  N23 1.447, C30 1.526, H34 1.097, H45 1.091
5 C -2.668 -1.061 -5.583  H20 1.078, C26 1.380, C44 1.384
6 C -0.069 -0.601 2.647  O21 1.217, N23 1.352, C32 1.500
7 C 0.458 3.082 3.335  C8 1.390, H31 1.079, C33 1.386
8 C 0.711 1.772 2.950  C7 1.390, C32 1.404, O47 1.361
9 H -1.728 -0.425 -0.381  C18 1.092
10 H 1.285 0.060 -0.164  C48 1.098
11 H 2.922 3.003 1.947  C39 1.100
12 H -2.848 2.846 4.021  C19 1.079
13 H 4.367 0.460 2.845  C2 1.086
14 H 3.186 2.511 3.643  C39 1.098
15 H -1.399 -2.815 0.394  C30 1.091
16 O -2.215 -3.189 -2.050  C25 1.209
17 H 5.159 1.930 2.252  C2 1.086
18 C -0.721 -0.439 -0.803  H9 1.092, H28 1.091, C38 1.535, C48 1.532
19 C -1.856 2.546 3.720  H12 1.079, C33 1.382, C43 1.385
20 H -3.569 -1.105 -6.173  C5 1.078
21 O -0.156 -1.448 3.517  C6 1.217
22 C -1.403 -1.617 -3.598  C25 1.490, C26 1.396, C29 1.394
23 N 0.280 -0.899 1.375  C4 1.447, C6 1.352, C48 1.439
24 H 0.610 -1.880 -1.702  C38 1.095
25 C -1.405 -2.323 -2.286  O16 1.209, C22 1.490, C38 1.519
26 C -2.573 -1.687 -4.357  C5 1.380, C22 1.396, H46 1.079
27 C -0.386 -0.292 -5.336  H3 1.079, C29 1.382, C44 1.384
28 H -0.695 0.251 -1.647  C18 1.091
29 C -0.310 -0.917 -4.106  C22 1.394, C27 1.382, H36 1.078
30 C -0.394 -2.786 -0.029  C4 1.526, H15 1.091, C38 1.529, H42 1.090
31 H 1.249 3.815 3.348  C7 1.079
32 C -0.342 0.843 2.949  C6 1.500, C8 1.404, C43 1.384
33 C -0.821 3.461 3.713  C7 1.386, C19 1.382, H40 1.080
34 H 1.613 -2.302 0.619  C4 1.097
35 H 0.006 1.016 0.615  C48 1.090
36 H 0.618 -0.868 -3.559  C29 1.078
37 H 4.134 0.971 1.173  C2 1.087
38 C -0.389 -1.869 -1.252  C18 1.535, H24 1.095, C25 1.519, C30 1.529
39 C 3.052 2.141 2.618  C2 1.521, H11 1.100, H14 1.098, O47 1.414
40 H -0.999 4.485 4.009  C33 1.080
41 F -1.641 0.247 -7.250  C44 1.345
42 H -0.125 -3.801 -0.320  C30 1.090
43 C -1.608 1.235 3.348  H1 1.080, C19 1.385, C32 1.384
44 C -1.567 -0.368 -6.056  C5 1.384, C27 1.384, F41 1.345
45 H 0.540 -2.862 1.927  C4 1.091
46 H -3.409 -2.243 -3.958  C26 1.079
47 O 1.921 1.296 2.549  C8 1.361, C39 1.414
48 C 0.276 0.019 0.266  H10 1.098, C18 1.532, N23 1.439, H35 1.090

Its energy relative to the best compared isomer or geometry (same formula, charge and spin) is 0.000 eV. As for the SMILES: CCOc1ccccc1C(=O)N1CCC(C(=O)c2ccc(F)cc2)CC1.

---

Entry from OMol25: 4 unconnected molecules or ions with the total composition C3H11N2O3 in a non-equilibrium geometry (wB97M-V/def2-TZVPD).

Bonds (Å) are listed after each position.
Atoms and positions in Å:
1 C 1.776 -0.308 -1.420  H14 1.085, N15 1.386, N19 1.316
2 H -2.774 -2.137 -0.519  O12 0.961
3 H 1.097 1.594 -1.396  N19 1.029
4 H 1.988 -2.279 -0.684  N15 1.012
5 H 2.960 2.651 -2.303  O13 0.964
6 H -0.252 -1.877 0.660  C16 1.097
7 H -0.652 0.776 0.409  C9 1.065
## Completed
6 C -0.069 -0.601 2.647  O21 1.217, N23 1.352, C32 1.500
7 C 0.458 3.082 3.335  C8 1.390, H31 1.079, C33 1.386
8 C 0.711 1.772 2.950  C7 1.390, C32 1.404, O47 1.361
9 H -1.728 -0.425 -0.381  C18 1.092
10 H 1.285 0.060 -0.164  C48 1.098
11 H 2.922 3.003 1.947  C39 1.100
12 H -2.848 2.846 4.021  C19 1.079
13 H 4.367 0.460 2.845  C2 1.086
14 H 3.186 2.511 3.643  C39 1.098
15 H -1.399 -2.815 0.394  C30 1.091
16 O -2.215 -3.189 -2.050  C25 1.209
17 H 5.159 1.930 2.252  C2 1.086
18 C -0.721 -0.439 -0.803  H9 1.092, H28 1.091, C38 1.535, C48 1.532
19 C -1.856 2.546 3.720  H12 1.079, C33 1.382, C43 1.385
20 H -3.569 -1.105 -6.173  C5 1.078
21 O -0.156 -1.448 3.517  C6 1.217
22 C -1.403 -1.617 -3.598  C25 1.490, C26 1.396, C29 1.394
23 N 0.280 -0.899 1.375  C4 1.447, C6 1.352, C48 1.439
24 H 0.610 -1.880 -1.702  C38 1.095
25 C -1.405 -2.323 -2.286  O16 1.209, C22 1.490, C38 1.519
26 C -2.573 -1.687 -4.357  C5 1.380, C22 1.396, H46 1.079
27 C -0.386 -0.292 -5.336  H3 1.079, C29 1.382, C44 1.384
28 H -0.695 0.251 -1.647  C18 1.091
29 C -0.310 -0.917 -4.106  C22 1.394, C27 1.382, H36 1.078
30 C -0.394 -2.786 -0.029  C4 1.526, H15 1.091, C38 1.529, H42 1.090
31 H 1.249 3.815 3.348  C7 1.079
32 C -0.342 0.843 2.949  C6 1.500, C8 1.404, C43 1.384
33 C -0.821 3.461 3.713  C7 1.386, C19 1.382, H40 1.080
34 H 1.613 -2.302 0.619  C4 1.097
35 H 0.006 1.016 0.615  C48 1.090
36 H 0.618 -0.868 -3.559  C29 1.078
37 H 4.134 0.971 1.173  C2 1.087
38 C -0.389 -1.869 -1.252  C18 1.535, H24 1.095, C25 1.519, C30 1.529
39 C 3.052 2.141 2.618  C2 1.521, H11 1.100, H14 1.098, O47 1.414
40 H -0.999 4.485 4.009  C33 1.080
41 F -1.641 0.247 -7.250  C44 1.345